Next, quote the lines further below up to the one that holds "1.8370 -0.6444", that line included.
[1]
A cluster of 2 separate species, C26H17F4O in total in a non-equilibrium geometry. Source: the OMol25 dataset; level of theory: wB97M-V/def2-TZVPD.

Results
* HOMO level: -12.16 eV
* ΔE to the lowest compared entry with this formula, charge and spin: 0.0 kJ/mol

```
! wB97M-V def2-TZVPD RIJCOSX def2/J DEFGRID3
* xyz 1 1
F -1.1616 2.1741 -3.6345
C -0.1436 1.2526 -3.4784
C 0.1985 0.4202 -4.5379
C 1.1990 -0.5208 -4.3097
F 1.5173 -1.3858 -5.3357
C 1.8370 -0.6444 -3.0865
C 1.4649 0.1943 -2.0240
C 1.9442 -0.2175 -0.6656
C 2.3348 0.7556 0.4060
C 3.3541 0.3310 1.2736
C 3.5467 0.9900 2.4763
F 4.5058 0.5360 3.3587
C 2.7711 2.0823 2.8607
C 1.7856 2.5030 1.9744
F 0.9397 3.5343 2.3388
C 1.5729 1.8840 0.7421
C 0.4695 1.1623 -2.2286
H -0.3006 0.5150 -5.4984
H 2.6119 -1.3958 -2.9518
H 2.6614 -1.0549 -0.7257
H 3.9797 -0.5211 1.0170
H 2.9173 2.5912 3.8129
H 0.8165 2.2813 0.0760
H 0.1527 1.8328 -1.4360
H 1.0671 -0.6343 -0.2562
C -0.9142 -1.7879 0.7471
C -0.8374 -0.9241 1.8526
C -1.9894 -0.1074 2.0556
O -2.9716 0.0627 1.0853
C -2.7949 -0.6060 -0.1215
C -1.6630 -1.4330 -0.3875
C -1.5412 -1.9648 -1.7104
C -2.5869 -1.8169 -2.6119
C -3.7471 -1.1009 -2.2702
C -3.8562 -0.4985 -1.0168
C -2.2625 0.4909 3.2832
C -1.3125 0.4093 4.3014
C -0.1088 -0.2846 4.0906
C 0.1528 -0.9217 2.8854
H -0.0802 -2.4592 0.5924
H -0.6375 -2.5250 -1.9745
H -2.5178 -2.2753 -3.6002
H -4.5799 -1.0198 -2.9735
H -4.7528 0.0358 -0.6921
H -3.2296 0.9835 3.4131
H -1.5245 0.8778 5.2657
H 0.6248 -0.3324 4.8977
H 1.0882 -1.4679 2.7211
*
```

***

[2]
A structure of composition C28H56ClIN2O11PS6 in a non-equilibrium geometry. Source: the OMol25 dataset; level of theory: wB97M-V/def2-TZVPD.

Results
* HOMO level: -10.94 eV
* ΔE to the lowest compared entry with this formula, charge and spin: 0.0 kJ/mol

```
! wB97M-V def2-TZVPD RIJCOSX def2/J DEFGRID3
* xyz 1 1
C -1.7740 4.5162 2.6546
C -2.1927 3.0307 2.5373
O -3.5554 2.9254 2.1354
C -1.3470 2.3586 1.4550
C -1.0165 0.8831 1.6769
P 0.0230 0.4279 0.1635
S 1.8105 1.2103 0.1194
C -2.2651 -0.0734 1.8045
I -3.0127 -0.8150 -0.0760
C -1.6688 -1.2682 2.5224
N -2.1599 -2.5514 2.5196
N -0.5636 -0.9293 3.1188
Cl 0.4547 -1.9551 3.9589
C -0.3251 0.5303 2.9949
C 1.0072 1.1114 3.4306
H -0.9309 4.6320 3.3344
H -1.4432 4.8333 1.6631
H -2.6269 5.1357 2.9255
H -2.0729 2.5715 3.5258
H -4.0865 3.4329 2.7541
H -1.9283 2.4069 0.5298
H -0.4179 2.9105 1.3198
H 0.0552 -0.9711 0.0259
H -0.7188 0.9877 -0.8904
H -3.1007 0.3758 2.3440
H -2.7582 -2.7056 3.3346
H -1.3977 -3.2262 2.6469
H -1.0186 0.9358 3.7480
H 0.9289 2.1960 3.4278
H 1.1826 0.8187 4.4696
H 1.8570 0.7781 2.8443
C -0.7959 4.4862 -4.9334
C 0.0413 3.2905 -5.4084
C 0.2398 2.3606 -4.2038
S -1.1872 2.6158 -3.1465
O -0.7457 3.1953 -1.8960
O -2.0233 1.4373 -3.1423
C -1.9529 3.8942 -4.1329
H -1.1572 5.0857 -5.7669
H -0.1914 5.1312 -4.2922
H -0.4942 2.7616 -6.1991
H 0.9997 3.6057 -5.8165
H 0.2795 1.3118 -4.4864
H 1.1257 2.6208 -3.6262
H -2.4458 4.6081 -3.4768
H -2.6841 3.4117 -4.7809
C -1.5619 -8.0736 2.1191
C -2.3507 -8.4521 3.3840
C -2.4586 -7.1870 4.2505
S -2.4069 -5.8119 3.1025
O -1.1953 -5.0438 3.3395
O -3.6851 -5.1403 3.0716
C -2.1814 -6.7767 1.6233
H -1.6092 -8.8466 1.3564
H -0.5114 -7.9130 2.3624
H -3.3485 -8.7982 3.1078
H -1.8665 -9.2561 3.9348
H -3.3865 -7.1339 4.8145
H -1.6087 -7.0857 4.9231
H -1.5442 -6.2306 0.9324
H -3.1648 -6.9369 1.1816
C 6.2245 -1.3791 -0.3863
C 7.0295 -0.9600 -1.6242
C 6.1723 -1.2773 -2.8567
S 4.4621 -1.1696 -2.3147
O 3.8629 -2.4817 -2.4031
O 3.8304 -0.0270 -2.9246
C 4.8192 -0.8234 -0.5962
H 6.6681 -1.0001 0.5330
H 6.1888 -2.4688 -0.3188
H 7.2321 0.1117 -1.5816
H 7.9888 -1.4723 -1.6749
H 6.3245 -0.5677 -3.6656
H 6.3382 -2.2910 -3.2164
H 4.0621 -1.2927 0.0268
H 4.7921 0.2575 -0.4652
C -2.8411 7.3269 0.0415
C -3.5753 8.6023 -0.3934
C -2.5822 9.7653 -0.2658
S -0.9462 9.0554 -0.4988
O -0.2093 9.1763 0.7330
O -0.3912 9.5066 -1.7476
C -1.4907 7.3587 -0.6659
H -3.4022 6.4284 -0.2152
H -2.6940 7.3347 1.1242
H -3.8957 8.5020 -1.4322
H -4.4658 8.7816 0.2070
H -2.7374 10.5326 -1.0196
[1]
A cluster of 2 separate species, C26H17F4O in total in a non-equilibrium geometry. Source: the OMol25 dataset; level of theory: wB97M-V/def2-TZVPD.

Results
* HOMO level: -12.16 eV
* ΔE to the lowest compared entry with this formula, charge and spin: 0.0 kJ/mol

```
! wB97M-V def2-TZVPD RIJCOSX def2/J DEFGRID3
* xyz 1 1
F -1.1616 2.1741 -3.6345
C -0.1436 1.2526 -3.4784
C 0.1985 0.4202 -4.5379
C 1.1990 -0.5208 -4.3097
F 1.5173 -1.3858 -5.3357
C 1.8370 -0.6444 -3.0865